Carrie as presented by Trinity Musical Theatre

14th February – 17th February 2024
Adjudication Performance 16th February 2024
First staged in 1988, the musical adaptation of Stephen King’s cult classic has mesmerised audiences for over 35 years. Heartfelt and horrifying in equal measure, Carrie has something for everyone, brought to life with music from Academy Award-winning Michael Gore – (Fame). Tragedy, romance, and family tensions intertwine in this truly horrifying coming of age story. This story takes place in Chamberlain, Maine. Appearances though are often deceiving, and drab exteriors can obscure a more gruesome reality. Not least in the case of Carrie White, a social outcast with perplexing hidden powers. Trinity Programme Synopsis.
This show was completely sold out as I arrived at the majestic O’Reilly Theatre in the heart of Dublin city on the evening of 16th February. A Fantastic front of house team and they all ensured that this queue flew in through the doors and into their seats in no time at all.
Personally I was greeted by Connie Angela McGowan, PRO of this Society and the Front of House Team. Trinity Musical Theatre was founded in 2016 and this is their 7th Production. I had the best seats in the house my view was superb. The stage is vast in width, and before the curtain even rose, black and red lighting all around surrounded us, which immediately created a feeling of foreboding and darkness. Brilliant. The scene was set, I had the most wonderful seat with my zero coke and my programme (thank you!) I sat back and waiting for what I was very soon to realise, a superb performance.
The Director was Ms Makena Margolin. This Director created a wonderful superbly directed vision, in every single moment of this show. The movement of each individual character was so very different in personality and with Ms Margolin’s direction I was immediately drawn into the town of Maine. From the moment the curtain opened, I was no longer in my seat in the Theatre- I was in Maine and there I stayed for the rest of the evening such was the finesse and staging of this masterpiece. Ms Margolin’s attention to detail was everywhere in this production. The book scene in the library- where Carrie discovers she has the superhuman force, when she looks at the books and wherever she went with her eyes and her stare the books started flying off the various bookshelves to the ground. Having seen this backstage after the show, this was so cleverly done, and this scene most definitely had the WOW factor. The sets were very simple and yet clever. However, the personalities you created in this story Ms Margolin were raw and spellbinding – throughout this show. I simply loved how your Direction brought this story to life helped by a wall of very talented cast and company. You are a very young and already very experienced Director and I do believe I will see your name in lights time and time again in future years. As a director you have a gift that is very special and rare, and I simply loved what you created in this performance with your talent. You brought out the best in everyone and everything and that in turn created a world where you brought your audience with you into that world, and we never left. A joy. Bravo.
Choreographer was Ms Grace Skowronski. Opening number was stunning and really set the tone for the rest of the show. The choreography was super throughout. Ms Skowronski you also had the added blessing of having the largest number of males in a show I have seen in my life all who could dance and sing and act! Such a rarity – (the numbers of men!!) Full of life, energy, emotion, and fantastic ensemble dancing made the choreography in this show simply incredible. “Prom Arrival” bounced off the stage with good vibes & fun. It was electric, the dance moves here were many, but for me this was indeed a highlight of your show. It brought so much life to the stage in this show and to each character and their individual performances and characters themselves. It was always captivating. And only added to the very emotional theatrical experience that was before my eyes from the first note to the last note of this show. BRAVO Ms Skowronski. Absolutely superb.
The Orchestra sat before me a band of 8 with Musical Director Erica O’Reilly at the helm. The instrumental before the curtains opened set the scene for what the music would bring to this production. Accompaniment was never too loud for the cast and only enhanced the talent on stage. There was a lovely empathy for the Company in this Orchestra, soft, loud, fun, dramatic and an Orchestral extravaganza from start to finish in total sync as a team and as an accompaniment to your Cast on stage. “Evening Prayers”, “Once You See”, “Prom Arrival” and “The Destruction” were a tour de force. Erica O’Reilly Musical Director / Conductor and Keyboard 1, John Duffy Keyboard 2, Colum Corken Guitar 1, Jasper Nolan Guitar 2, Isabella Littler, Cello, Reana Supple, Bass, Daniel Penrose, Bass and Tom De Paor Drums. Wonderful strong, gifted team with great musicality throughout never once upstaging the performers or being too loud too soft. Fine vocal work for the principals and chorus was due I’m sure to hours and hours of rehearsal. All performers knew their music impeccably and the confidence in their MD was obvious to see. Well done Ms O’Reilly and your wonderful team.
Stage Manager was Ella Clarke. Brady Dunne was Set Designer. Sets were deceptively simple. When the show began, it did occur to me that sets were “minimalistic”. Added sporadically throughout there were many set pieces such as “the room under the stairs” where Carries mother locked her in for hours on end, the chairs in the classroom arrived and were removed very eloquently during Sue Snell’s solo with effective but simple choreography. Transitions were smooth and flawless using the ensemble cast to move things around whilst they were singing. Different sets such as Carries home, school, prom evening stage, created a visually striking backdrop and although very simple they were very effective and worked extremely well for the Cast and Crew. The bucket of blood which was poured on Carries head when she was crowned prom queen was so detailed and indeed messy! Well done Ms Clarke and Mr Dunne. A good team.
The piece is interrupted by molecular data >
=====
# C23H29BN3

2 unconnected molecules or ions with the total composition C23H29BN3 at a distorted geometry (ωB97M-V with the def2-TZVPD basis set, the Open Molecules 2025 dataset).

Last column: Mulliken charge in e.
Positions of all 56 atoms, in Å:
H: -1.378 -6.152 11.024  0.32
C: 0.780 2.515 6.939  -0.09
H: -1.149 -3.859 9.843  -0.20
C: 2.929 3.615 7.201  -0.64
C: -1.572 0.409 7.344  -0.18
C: -0.299 -7.807 8.427  -0.38
H: -0.278 2.532 6.688  0.49
C: -3.544 1.445 6.330  -0.86
H: -5.234 3.509 6.419  0.36
H: -4.309 1.459 5.549  0.33
C: -4.549 3.596 7.267  -1.37
B: -0.908 -4.041 8.655  0.17
H: -0.875 1.427 9.125  0.48
H: 0.650 -5.854 5.265  0.33
H: -1.535 -7.888 10.630  0.30
C: -1.656 1.401 8.360  -0.53
H: 2.622 -2.637 6.080  0.58
N: -0.014 -5.997 7.212  0.27
C: -0.627 -5.570 8.361  -0.27
H: 0.024 -3.190 8.377  -0.19
H: -0.320 -8.805 8.823  0.44
C: 0.869 -0.083 7.251  1.88
H: 4.622 -1.409 7.985  0.34
H: 0.749 -7.885 6.490  0.41
C: 3.561 2.378 7.419  -0.97
H: -5.151 3.628 8.186  0.34
H: 4.620 2.281 7.628  0.30
C: 1.555 3.666 6.929  -0.88
H: -0.664 -1.563 7.049  0.36
C: 2.045 -0.896 7.196  -0.37
H: 2.558 -2.879 7.865  0.46
H: 3.516 4.527 7.241  0.40
H: -2.667 -0.403 5.654  0.44
N: -0.862 -6.719 9.064  0.19
H: -0.631 -4.688 5.679  0.31
H: 5.212 0.190 7.405  0.33
H: 4.724 -1.095 6.251  0.31
H: -1.803 -3.732 7.850  -0.09
H: 1.080 4.625 6.699  0.41
C: -0.453 -0.510 7.238  -0.28
C: -2.633 2.382 8.339  -0.36
C: 2.776 1.238 7.372  0.27
H: -4.026 4.561 7.189  0.32
C: -3.571 2.455 7.300  0.98
N: 3.148 -0.110 7.282  0.08
C: 0.234 -7.350 7.270  -0.40
H: 1.045 -4.452 6.273  0.12
C: -2.620 0.409 6.384  -0.71
C: 0.270 -5.199 6.056  -0.68
H: 1.085 -2.691 6.910  -0.71
H: -2.643 3.156 9.112  0.41
C: 1.371 1.292 7.236  0.35
H: -2.745 -6.748 10.034  0.30
C: 4.510 -0.627 7.223  -0.88
C: 2.114 -2.347 7.011  -0.52
C: -1.670 -6.868 10.249  -0.81

Computed properties:
molecular weight: 358.3 g mol⁻¹
2S+1: 1
F_max: 0.03752 Eh/bohr
electronic energy: -1082.69258 hartree
charge: +1
Kohn-Sham gap: 6.73 eV

# C40H84N4O22S3

11 unconnected molecules or ions with the total composition C40H84N4O22S3 at a distorted geometry (ωB97M-V with the def2-TZVPD basis set, the Open Molecules 2025 dataset).

Last column: Mulliken spin population.
Positions of all 153 atoms, in Å:
H: 1.029 2.178 5.302  0.00
C: -6.828 -0.128 -0.907  0.00
H: -2.258 -0.244 -2.075  0.00
C: -1.332 -0.764 -2.317  0.00
H: -4.374 4.976 -0.647  0.00
H: -4.863 -0.737 -0.227  0.00
C: -3.154 -3.890 0.916  0.00
O: 3.818 3.149 -4.666  0.00
N: -0.670 4.838 -4.917  0.07
H: -0.131 -4.914 -2.298  0.00
H: -0.777 -4.679 -4.618  0.00
H: -6.220 -3.228 -1.079  0.00
C: 1.896 0.865 0.920  0.00
O: 0.304 -3.213 -6.546  0.00
H: -1.426 -0.146 -4.487  0.00
H: -1.665 -1.500 2.815  0.00
O: -0.504 -2.289 -8.371  0.00
H: 0.839 3.514 4.142  0.00
H: 5.950 0.084 6.211  0.00
C: 0.415 4.033 -5.515  0.00
H: -2.659 -4.828 1.167  0.00
O: -5.054 -1.058 -3.573  0.00
H: 3.267 -3.091 -5.219  0.00
O: -0.113 -0.802 0.327  0.00
H: -3.212 -3.916 -8.234  0.00
=====
Sound. Sound Designer was Barbara D’Orsi, and Sound Operator was Vinny Osbourne. And sound was excellent. From the first note of the show I loved the tone and volume used and the balance between the performers and Orchestra was so good it was if they were as one. Radio Mics worked extremely well and there were many, but this show bounced off the stage in quality of vocals and had for me personally a huge part to play in the overall success of this performance. It was simply Super.
Lighting Operator was Thomas Fitzgerald. I loved the lighting in this show so many foreboding colours especially in the gory scenes where Carrie kills everyone and the bucket of blood falls on her from the prom stage. Very effective and very chilling indeed! As was the opening scene which I wish to mention where Sue Snell is sitting on a chair downstage centre covered in blood and the lighting here was so effective, so scary and so ominous. The lighting in this show is crucial as it sets the mood of the scene, from the dark dismal house of Carrie to the school prom to the fantastic lighting in the massacre at the prom. The contrast created here between the varying scenes was very well-done Mr Fitzgerald.
Lighting overall was a huge success in this show and was another key to its success and to the overall story, where many emotions and pictures are involved to create Carrie the Musical in such a beautiful and as I say sometimes in a bloodcurdling gory way. The contrasts and the effects of your successful lighting were magnificent and really did make a huge difference to the overall show and its success. Well done.
Costume Designer was Pearse Crowley. What a talent this young man possesses. Mr Crowley created Costumes which were simple and effective and superb. I mention here the opening scene with Sue Snell covered in blood, Carries Prom dress after she had murdered everyone including her mother with her powers, the blood on the dress was such a visual. The pink prom dress also destroyed in blood and the torn material was very good and very effective and in complete contrast to Carries attire in the opening scenes with her pleated skirt and cardigan and drab colours. The blue jeans and white shirts for the men and the red shorts and white shirts for the ladies worked very well and showed again the contrast from the normal day life to the darker side of the show and of Carrie. Makeup as appropriate and Props were very good. The bucket of blood for the prom, the knife, the loaf of bread, were such small things but made a huge difference to the story bringing it to life. Make up overall was very good. All the above brought the characters to life, chilling, scary, realistic, normal, a world of adjectives could use to convey through costume the world in which Carrie lived in. Congratulations to all.

Carrie White as played by Aoife McCormack. The heart of the show with a bigger heart in life. A flawed, shy, scared, sensitive teenager bullied incessantly by her classmates hiding away in the shadows living in a dark despairing house with her mother who locked her under the stairs regularly to repent her sins. I could feel the power in this young lady’s performance both in acting and in singing from my seat in the auditorium. Ms McCormack, I loved the emotional rollercoaster you brought us on your journey. You have a glorious voice, and a great stage presence, and you are a wonderful actor. You have a beautiful tone throughout your vocal register mentioning showstoppers such as “Carrie”, “And Eve was weak”, “Unsuspecting Hearts” and “Stay here instead”. The power of your voice and your character in the “Destruction Scene” really showcased Carries pent up anger and emotion as you unleashed your telekinetic powers on the world. A magnificent role you played here Ms McCormack. You were terrific.
The part of Margaret White (Carrie’s Mother) was played by Lily-Kate Hearns. Who is also Chairperson of this Society. What a voice. The strength of your vocal, your emotionless cold exterior, your religious fanatical way of living, and your white deathlike make up, your dark home, the closet under stairs where you threw your daughter Carrie in frequently and left her there for hours showed a cold hearted, dark, evil, and abusive character with controlling behaviour a religious fanatic. Your character you created was so well done that that every time you came on stage, when you were quietly sewing, I was waiting for an explosion of rage, anger, and or violence, such was the intensity of the persona created by you in Margaret White. You were indeed a very compelling figure Ms Hearns. I loved your voice Ms Hearns. You played the part of Margaret White here so wonderfully well. A key role in the overall success of this production. Congratulations Ms Hearns.
Sue Snell was played by Hannah McNicholas Roche. You opened the show sitting on stage alone covered in blood with singing that put the hairs standing on the back of my neck immediately. A beautiful character you were Ms McNicholas Roche. Gorgeous voice, clear and concise and lyrical with a gem of a personality, who stood up to the bullies for Carrie and became her friend. “Once You See”. A friend that any person would be glad to have indeed. Your relationship with Tommy Ross, portrayed a love beyond your years, that would last forever – You are a natural on-stage Ms McNicholas Roche gifted with a talent that this show brought out the best in you in this character and I simply loved Sue Snell throughout. So very well done.
Juliet Hill played the part of Chris Hargensen. The innocent looking bad girl and bully to Carrie, making fun of her, setting up her fall and the inevitable aftereffects of your damage and horrible behaviour setting her up to win Prom Queen and then dropping the bucket of blood on top of her head destroying her dress hair makeup and her life really in front of everyone at the Prom was as horrible as it sounds. Truly. And it was your talent and your acting skills along with a fine vocal performance that I highlight here in this role you played. Great role, and you made it your own.
Tommy Ross was played by Will Robbins. What a dote. Tommy exuded the perfect boyfriend to Sue Snell, who with Sues encouragement offered to be Carrie’s prom date so that Carrie would not have to go on her own was Sues way of apologising to Carrie for bullying her in school along with her other classmates. By asking Tommy to take Carrie to the Prom to make up for her vile behaviour was the catalyst in losing Tommy forever. Lovely stage presence, costumes, beautiful lyrical sweet singing voice, great acting and perfectly cast in this role. A part beautifully played Mr Ross. Well done.
Colm Lombard played the part of Billy Nolan, Chris Hogenson’s boyfriend. Very easily manipulated by Chris. Great role. Mr Lombard did everything he was told, like a little lap dog following his master around – this stage duo really worked well. Good stage presence where you came into your own setting up the destruction of Carrie with Chris in the fatal prom scene. Your stage presence was very good and overall a very strong Billy. Well done.
Mrs Gardener was played by Beth Strahan. And Mr Stephens was played by Stephen Hayden. Two professors in the Chamberlain High School. Ms Strahan a lovely character, saw through the horrific bullying of Carrie and set the bar high when she made each of them apologise in turn for bullying Carrie. A teacher with a sympathetic ear and a soft spot for Carrie, lovely vocal, lovely stage presence and appearance and you really came into your own in the gorgeous scene with Carrie at the prom when you were seated down stage left quietly in the corner chatting. You had her back Ms Gardener. And you were a wonderful character. Singing, dancing, and acting you had it all. Great role superbly played. Well done.
Mr Stephens work colleague to Ms Gardener was a lovely contrast to his fellow teacher. A bit eccentric and mostly not aware of what was going on and struggled in his role as bringing out the best in his students. unless Ms Gardener informed him. Great costumes, lovely clear speaking voice, and good stage presence. Well played Mr Hayden. A strong role indeed.
The role of Norma was played by Eva O’Sullivan. Swayed by Chris’s interactions with Carrie and her bully she follows Chris’ lead throughout the show. Part of the bullying crowd that taunted Carrie- her role added to the overall cruelty that led to the tragedy that unfolded at prom night. Strong clear diction and very good stage presence.
The part of Freddie was played by Luke Reid, lovely role, strong diction, and character well played. A friend of Tommy Ross and had a nice relationship with Carrie in this role.
Other roles most worthy of mention Eva O’Sullivan as Norma, Jane Roe as Frieda, Emer Hearns as Helen, Nathan Young as George, Luke Reid as Freddy, David Cosgrave as Stokes along with an extremely talented ensemble really were exceptionally good in enhancing this performance through their various talents on stage. Well done to you all.
Vocal Technician was Mr Hayden Kline. Superb work done by this gentleman on every aspect of vocals in the show. Mr Klines tuition was everywhere throughout ensuring balance and ease for each vocalist and chorus member throughout the show. Well done.
Finally to the Chorus. What can I say? What a sound you made. I was / am in awe of you all and that of Mr Cline’s ability to bring you as a group to the level your arrived at for this show.
You bounced, danced, and sang your way around this Theatre and back. What a vocal. What an amazing quality and the envy of many societies – so many MEN!!!!! This Chorus was special. You felt every move, every word, and were as one. A unit. A wonderful wall of sound in every single number throughout the show. I looked forward every single moment to your arrivals on stage where the sound of your voices literally lifter the roof of the O’Reilly Theatre and brought the house down with applause sometimes even in the middle of songs!
Absolutely glorious Chorus, every single number was Grade A, and I simply loved the chorus in its tone, sound, volume, emotions, life, and its simple happiness which hit the walls of the auditorium consistently in every number without fail. BRAVO.
A Wonderful Society, with great talent and a fabulous choice of show for this young cast.
And remember…………
An eagle’s just another bird, until he can spread his wings, A river is just a sheet of ice, till Winter turns to Spring, And though the clouds may block the sun, it doesn’t mean it left the sky, Just when you think you’ve seen it all, there’s more than meets the eye. Like things I dream, and things I feel, there’s more to me than I reveal, And ‘cause I shine in quiet ways, someone you don’t recognise, I’m a diamond in the rough, a dreamer in disguise. An eagle is just another bird until he can spread his wings……………………. (A Dreamer in Disguise” Carrie the Musical) 2024 Trinity Musical Theatre Society
To the Cast and Crew of this lovely Company that is Trinity Musical Theatre Society. You have an amazing Society full of talent and life and fun and song. I wish you all everything your hearts dream of and more. Love the talent you have been blessed with and enjoy every second. I know I will see many of you again someday down the road and I wish you all every happiness and success. Thank you and Bravo.
Caroline Daly Jones
Adjudicator Sullivan 2023 / 2024
Some photos kindly shared by the society - Photographer - Connie Angela McGowan